It has been quite a while since I have posted to my blog. I never knew that moving to a new place and graduate school would take this much out of me. I have cried so much that it is unfathomable for those who know me. But each time, I have picked myself back up.
At first I thought that I was still attached, attached to the idea of being in love with someone. I've been trying to deal with this attachment so that I can find my way to REAL LOVE. The love I've spoken of in a previous blog. And I realized that my way of dealing with it, wasn't actually dealing with it. I thought that I had gotten to the source, but that was an illusion.
After exhausting every possible method that I could think of, I turned to my Guru for assistance. I told him of my issues and asked was this normal? what should I be doing? am I attached? and more.
He informed that loneliness is normal. I have moved to a new place, alone and I need to find individuals that are like me. He pointed out to me that attachment is when you cannot live without someone. Loneliness is just simply that, loneliness; we all need companionship. This made me feel a LOT better, but he never really gave me a clear cut answer or solution to getting rid of my emotions and feelings.
After we hung up the phone, I pondered over our conversation and everything that I've learned so far. It hit me. My emotions and feelings will always be there; what matters is how I let them affect me. I can't let them take me away from my path, my vows and the positivity that I should have in my life. I fret on not having the person I love be here with me, call me all the time, respond to my text immediately. I get worried when I don't hear from them after days upon days. And I'm letting them affect me. I'm letting them take me away from the blessings I've been given. It has been hard for me to concentrate on work, school and myself because now that my emotions are out in the open they are all I can think about.
I know there is nothing malignant going on, but I can't help but realize how my mentality has changed now that wall has fell down. How will this play out? How long will this last?
I found the source of my emotions, they have come to the surface and instead of continuing to fight and suppress them I just let them flow and keep flowing. And here I am.
Although I may know where the source of my loneliness and feelings is coming from, I know it will take time to close it up. My emotions are coming to the surface and as a result are intensifying because I know where and why they were created.
I can't use force to stop them, I just have to let them come and come and come. This is going to be extremely hard especially if things turn out badly. But in either case, I hope that one day, they will come and won't have as big an effect on me.
Next to the entry, the page also holds calculated crystals:
[1]
Below is a relaxed structure of Re2AsPt, with properties calculated at the PBE level. Values from VASP.

Quantum ESPRESSO input file:
```
&SYSTEM
  ibrav = 0, nat = 4, ntyp = 3
/
ATOMIC_SPECIES
Re 186.21 Re.upf
As 74.92 As.upf
Pt 195.08 Pt.upf
ATOMIC_POSITIONS crystal
Re 0.000 0.000 0.002
Re 0.000 0.000 0.498
As 0.500 0.500 0.250
Pt 0.500 0.500 0.750
CELL_PARAMETERS angstrom
2.743 -0.037 0.000
-0.874 2.601 0.000
0.000 0.000 8.830
```

The value obtained for the volume is 15.679 Å³ per atom. The density of states at the Fermi level comes out at 3.380 states/eV per cell. The calculation puts the energy of formation at 0.6330 eV per atom. The crystal system is orthorhombic.

[2]
Below is a relaxed structure of GaNiS2, with properties calculated at the PBE level. Values from VASP.

Quantum ESPRESSO input file:
```
&SYSTEM
  ibrav = 0, nat = 4, ntyp = 3
/
ATOMIC_SPECIES
Ni 58.69 Ni.upf
S 32.06 S.upf
Ga 69.72 Ga.upf
ATOMIC_POSITIONS crystal
Ni 0.500 0.500 0.500
S 0.885 0.885 0.885
S 0.115 0.115 0.115
Ga 0.000 0.000 0.000
CELL_PARAMETERS angstrom
1.923 0.000 7.687
-0.961 1.665 7.687
-0.961 -1.665 7.687
```

The value obtained for the volume is 18.456 Å³ per atom. The calculation puts the raw formation energy at -0.17 eV per atom. The density of states at the Fermi level comes out at 1.725 states/eV per cell. The crystal system is trigonal.
So for now, I will keep flowing and flowing like a river, trying not to let any pebble or huge rock stop me :-(
At first I thought that I was still attached, attached to the idea of being in love with someone. I've been trying to deal with this attachment so that I can find my way to REAL LOVE. The love I've spoken of in a previous blog. And I realized that my way of dealing with it, wasn't actually dealing with it. I thought that I had gotten to the source, but that was an illusion.
After exhausting every possible method that I could think of, I turned to my Guru for assistance. I told him of my issues and asked was this normal? what should I be doing? am I attached? and more.
He informed that loneliness is normal. I have moved to a new place, alone and I need to find individuals that are like me. He pointed out to me that attachment is when you cannot live without someone. Loneliness is just simply that, loneliness; we all need companionship. This made me feel a LOT better, but he never really gave me a clear cut answer or solution to getting rid of my emotions and feelings.
After we hung up the phone, I pondered over our conversation and everything that I've learned so far. It hit me. My emotions and feelings will always be there; what matters is how I let them affect me. I can't let them take me away from my path, my vows and the positivity that I should have in my life. I fret on not having the person I love be here with me, call me all the time, respond to my text immediately. I get worried when I don't hear from them after days upon days. And I'm letting them affect me. I'm letting them take me away from the blessings I've been given. It has been hard for me to concentrate on work, school and myself because now that my emotions are out in the open they are all I can think about.
I know there is nothing malignant going on, but I can't help but realize how my mentality has changed now that wall has fell down. How will this play out? How long will this last?
Although I may know where the source of my loneliness and feelings is coming from, I know it will take time to close it up. My emotions are coming to the surface and as a result are intensifying because I know where and why they were created.
I can't use force to stop them, I just have to let them come and come and come. This is going to be extremely hard especially if things turn out badly. But in either case, I hope that one day, they will come and won't have as big an effect on me.
So for now, I will keep flowing and flowing like a river, trying not to let any pebble or huge rock stop me :-(